The internal dialogue is an essential part of what makes us human beings. Whereas (we assume, anyway) all other known animals do not deliberate and make decisions based on mental evaluations, we do. "Lower" animals are fully capable of reacting to stimuli in an immediate fashion, but they do not make decisions in the same sense that we do. "But," you say, "what about the lion or cheetah that 'decides' to pursue the weaker, more sickly prey?" Though a human hunter might think to him/herself "I think I'll go ahead and chase the slow one to minimize my energy expenditure and thus maximize my efficiency," the lion acts on pure instinct, which is often more efficient than thinking. Millions of years of natural selection have driven all forms of life towards the path of least resistance. Millions of years of natural selection are also responsible for the internal dialogue, which has allowed us to slightly transcend so-called natural selection, in a way that might ultimately be to our demise (for example, our frivolous overuse of antibiotics that ultimately makes certain strains of bacteria far more nasty than they ever were). The internal dialogue may be ultimately responsible for our decision to treat nature as something to be conquered, rather than something to co-exist with. It separates us from all other life in a way that is almost, if not completely, alienating.

Often this is to our immediate benefit, although it can easily hurt us. Without the internal dialogue, we wouldn't be able to intentionally commit suicide. To commit suicide is to "decide" that life is completely worthless, and that the pain and anguish of dying will ultimately be more valuable than remaining alive. In The Lucifer Principle, Howard Bloom makes the case that society (the "superorganism") is a unit of natural selection that may supercede the will of individual organisms. Hence, people who feel that they do not contribute in any way to society may find themselves contemplating suicide, performing what is to be the most irrational cost-benefit analysis of their lives. The solution? Keep your mind occupied with other things; be productive.

Carlos Castaneda spoke extensively of the internal dialogue in his "don Juan" books. He claimed that humans are disproportionately split between reason and will; reason keeps us alive and well, but it ultimately suppresses our will, keeping us complacent in a situation eerily similar to The Matrix. Castaneda believed that thousands of years ago, humanity was conquered by the "flyers," which are inorganic beings composed of pure awareness. In order to survive and reproduce, they need to feed off of our awareness. In order to prevent our learning the "truth," they consume every bit of awareness except for the tiniest shred near our feet, which incidentally is our "self-awareness." By leaving only our selfishness behind, their posterity was guaranteed. It all sounds very preposterous, but an analogy can be clearly drawn from all of this. Our "matrix" is modern society. The "flyers" are the white-collar executives, the celebrities, the screenwriters and authors, who most definitely could not be where they are without the majority of the population to "feed" on. The majority of the population is convinced that it cannot accomplish anything truly worthwhile, so it finds satisfaction in meaningless, "blue collar" jobs, and indulges in obsessive consumerism. The majority's internal dialogue tells them that as long as they survive and have a little fun and wear Tommy Hilfiger, it doesn't really matter how "well-off" they are. In order to transcend this state and "be successful," one must put forth an act of sheer will, ignoring the nagging doubts and uncertainties that render most people immobile. It is our self-esteem, our self-awareness that keeps us "down," but we'd rather blame those who have gotten past it, whether from will or luck. One cannot think of oneself as a total pawn controlled by external forces, even if it's ultimately true on some super-deterministic, quantum level.

Attached: molecular data >
┌──
Entry 1:
{
  "formula": "CH3INP",
  "method": "wB97M-V/def2-TZVPD",
  "symbols": ["C", "N", "P", "I", "H", "H", "H"],
  "positions_angstrom": [[0.92294, -0.32613, -0.39358], [0.27479, 0.78612, -0.42604], [0.16874, 2.23334, 0.10986], [2.99499, -0.08395, 0.02869], [0.27945, -0.94663, 1.45460], [0.76364, -1.09465, -1.13237], [-0.98209, 2.69838, -0.73924]],
  "forces_ev_per_a": [[0.7, 0.4, 1.2], [-1.5, -1.0, -1.1], [-0.8, 1.8, 0.1], [0.6, -0.3, 0.1], [0.4, 0.1, -1.3], [-0.3, -0.5, 0.3], [0.9, -0.3, 0.6]],
  "lowdin_charge": [-0.8334, -0.5919, 0.7557, 0.6251, 0.1551, 0.0169, -0.1275],
  "charge": 0,
  "total_energy_ha": -733.51693,
  "orbital_gap_ev": [7.19, 7.25],
  "fmax_ev_per_a": 2.10
}


Entry 2:
{
  "formula": "C2H2ClP",
  "method": "wB97M-V/def2-TZVPD",
  "symbols": ["Cl", "C", "C", "P", "H", "H"],
  "positions_angstrom": [[-0.14340, 0.44653, -1.89353], [0.11976, -0.37964, -0.29515], [-0.54508, 0.08803, 0.87665], [1.56765, 0.36067, 0.75825], [0.17999, -1.44507, -0.49616], [-1.17892, 0.92947, 1.04995]],
  "forces_ev_per_a": [[-0.1, -0.1, 0.3], [0.4, -0.1, -0.4], [4.5, 0.7, -0.3], [-4.3, -0.7, 0.2], [0.0, 0.1, 0.1], [-0.5, 0.2, 0.2]],
  "lowdin_charge": [0.4525, -1.1342, -0.1911, 0.8216, 0.0368, 0.0145],
  "charge": 0,
  "total_energy_ha": -878.79291,
  "orbital_gap_ev": [7.61, 7.60],
  "fmax_ev_per_a": 4.55
}


Entry 3:
{
  "formula": "C4H4BrClO2S",
  "method": "wB97M-V/def2-TZVPD",
  "symbols": ["C", "C", "C", "C", "O", "O", "S", "Cl", "Br", "H", "H", "H", "H"],
  "positions_angstrom": [[-0.04178, 1.18727, 1.74735], [-1.67541, -0.14561, 0.27535], [0.69377, -0.68495, -0.42724], [-0.72668, -0.69216, -0.75379], [1.05662, 2.03812, -0.73127], [2.44903, 0.81982, 0.85768], [1.17257, 1.00868, 0.25912], [-1.40638, 0.88370, -1.27098], [-3.41142, -0.79789, 0.28610], [0.15609, 0.11104, 2.28284], [0.97957, -1.45009, 0.29632], [1.56461, -0.79497, -1.20549], [-0.81059, -1.48295, -1.61601]],
  "forces_ev_per_a": [[0.3, -2.6, -0.9], [2.0, -0.2, 0.5], [3.8, 1.9, -0.3], [-0.2, -2.3, -1.8], [-0.3, -0.2, -0.2], [1.4, -0.2, 0.7], [-1.7, -1.2, 2.0], [-0.6, 1.2, -1.6], [-0.6, -0.4, 0.2], [-0.2, 2.2, -1.3], [-0.4, 0.3, 0.4], [-2.2, 0.1, 0.5], [-1.2, 1.3, 1.8]],
  "lowdin_charge": [0.0334, -0.9142, -0.2754, -0.6703, -0.3779, -0.3455, 0.4813, 0.9140, 0.7172, 0.0134, 0.1105, 0.1487, 0.1649],
  "charge": 0,
  "total_energy_ha": -3737.35884,
  "orbital_gap_ev": 8.44,
  "fmax_ev_per_a": 4.22
}


Entry 4:
{
  "formula": "C19H23NO2",
  "method": "wB97M-V/def2-TZVPD",
  "symbols": ["C", "O", "C", "C", "C", "C", "C", "C", "C", "C", "O", "N", "C", "C", "C", "C", "C", "C", "C", "C", "C", "C", "H", "H", "H", "H", "H", "H", "H", "H", "H", "H", "H", "H", "H", "H", "H", "H", "H", "H", "H", "H", "H", "H", "H"],
└──

Castaneda believed that suspending the internal dialogue was the ultimate act of sorcery. He believed that our definition of "reality" was really only one description of an infinite universe composed of many separate worlds. He believed that our perception was seated in a focal point of awareness called "the assemblage point." When people are first born, their assemblage point is in a constant state of motion, allowing them to perceive various worlds and see reality truly for what it is. Once the infant begins to establish an internal dialogue, the assemblage point becomes rigidly fixed, seemingly impossible to move. Personally, I don't believe in the assemblage point, but I can see where more analogies can be drawn. "The world," says don Juan, "is such and such and so and so because we tell ourselves it is such and such and and so." As long as you choose to believe that you will never achieve anything worthwhile, you won't.

The internal dialogue is definitely important and useful, but it can also be destructive when indulged in to excess (like everything else in the frickin' universe!). Self-reflection and rumination often only degrade one's self-esteem to the point where they don't want to accomplish anything. What, after all, is accomplishment? What does it mean "to succeed?" What is the point of anything? Thinking about such things often just serves to drive us towards nihilistic depression, which is no fun. "Suppression of the internal dialogue" is just another way of saying "meditation." Your internal dialogue is very important for getting you through the day alive. It is largely responsible for every paycheck you receive. But at the same time, one of the best ways to truly relax is to try to shut it off. You may only be able to do it for two or three seconds at a time at first, but with practice, anyone can become a "sorcerer" in their own right. I can guarantee this -- being capable of meditating for "only" ten or fifteen minutes might lead one to experiences far more earth-shattering and mind-blowing than could ever be experienced under any form of psychedelic or recreational drug. Drugs occasionally induce truly impressive states of altered perception, but only through perfect, sober clarity can one experience transcendence at its most divine. And I don't believe in god. Carlos Castaneda was a (very rich) huckster in many ways, but he synthesized a lot of relevant material. Now, I just need to find his book The Power of Silence...